Bennett Durkan

, but
[Unrelated to this piece: molecular data]
[1]
The following is a quantum chemistry calculation of a cluster of 8 separate species, C18H38Br12N2O2 in total at a distorted geometry, from OMol25.

Geometry as XYZ:
```
72
C18H38Br12N2O2 | OMol25 | the ωB97M-V functional and the def2-TZVPD basis
Br 16.8742 21.1758 20.5917
C 15.3806 20.6293 21.7093
C 14.4290 19.8475 20.8535
Br 13.3294 18.6242 22.0265
H 14.9474 21.5164 22.1642
H 15.7857 20.0349 22.5238
H 14.8698 19.0007 20.3391
H 13.8338 20.4471 20.1709
Br 13.9009 23.4265 23.5825
C 12.4498 23.1329 24.8545
C 11.2494 24.0185 24.6018
Br 9.8643 23.5095 25.9073
H 12.8012 23.0704 25.8851
H 12.2613 22.0608 24.7559
H 10.7643 23.8835 23.6433
H 11.5256 25.0516 24.7881
Br 21.0790 21.1996 19.0084
C 20.1868 22.6012 20.1113
C 21.2290 23.4304 20.8367
Br 22.0427 22.3239 22.2638
H 19.6705 22.0391 20.8844
H 19.5354 23.1585 19.4434
H 20.9359 24.3886 21.2540
H 22.0240 23.6435 20.1216
Br 15.4623 14.6235 22.2619
C 14.9344 14.0089 20.4759
C 15.1754 15.1738 19.5130
Br 14.2489 14.7100 17.8564
H 13.8894 13.7384 20.5794
H 15.4934 13.1410 20.1393
H 16.2316 15.2554 19.2702
H 14.8420 16.1520 19.8439
Br 11.4123 19.3316 17.5661
C 11.8791 17.6086 18.4113
C 10.9205 17.4382 19.5874
Br 11.3327 15.7463 20.5603
H 12.9321 17.6771 18.6624
H 11.7553 16.8333 17.6629
H 9.8721 17.3269 19.3261
H 10.9351 18.2757 20.2792
Br 17.1693 17.6618 21.6233
C 19.0682 17.0369 21.6343
C 19.9718 18.2105 21.3080
Br 21.8437 17.7352 21.6464
H 19.1474 16.2060 20.9402
H 19.2584 16.6131 22.6169
H 19.8426 19.1651 21.8097
H 19.8938 18.4585 20.2506
C 16.2583 24.6007 19.4101
O 17.3362 24.2608 18.9344
N 15.1012 24.2636 18.8183
C 13.8477 24.3673 19.5678
C 15.0116 23.3967 17.6601
H 16.2185 25.2796 20.2701
H 13.5593 23.3341 19.7864
H 13.0058 24.7711 19.0014
H 13.9746 25.0088 20.4358
H 14.1938 23.6875 17.0024
H 15.9076 23.3364 17.0526
H 14.8065 22.4065 18.0829
C 16.0982 19.7795 17.2263
O 15.0572 19.4767 16.6617
N 17.0590 20.5263 16.6489
C 18.2674 20.8561 17.3720
C 16.9627 21.0412 15.2852
H 16.3140 19.5509 18.2797
H 19.1469 20.3866 16.9262
H 18.2140 20.7331 18.4522
H 18.5188 21.9214 17.2800
H 16.2060 20.4471 14.7808
H 16.6542 22.0854 15.3602
H 17.9421 21.0002 14.8136
```

Net charge = 0
Spin multiplicity = 1
Orbital gap = 0.344 Ha
SMILES = CN(C)C=O.CN(C)C=O.BrCCBr.BrCCBr.BrCCBr.BrCCBr.BrCCBr.BrCCBr
Energy above the lowest of the compared OMol25 structures with the same formula, charge and spin = 74.4 kJ/mol
LUMO level = 0.1 eV
Max |F| = 0.037 hartree/bohr
E_tot = -31856.80184 Eh

Löwdin atomic charge list, values in e, 8 entries: 0.77, -0.70, -0.63, 0.61, -0.05, 0.01, -0.02, 0.06



[2]
The following is a quantum chemistry calculation of a cluster of 16 separate species, C18H38Cl30O2P in total, from OMol25.

Geometry as XYZ:
```
89
C18H38Cl30O2P | OMol25 | the ωB97M-V functional and the def2-TZVPD basis
O -4.4285 3.0204 -0.1937
C -4.1128 1.9532 -0.6165
O -3.3802 1.0573 0.0766
C -3.3186 1.2699 1.4874
C -2.2852 2.3362 1.8730
P -0.6062 1.7000 1.8120
H -4.3682 1.5588 -1.6074
H -3.0160 0.3141 1.9135
H -4.2926 1.5445 1.8973

(Records of molecules, kept here for reference)
┌──
Entry 1:
{"formula": "C30H37N7O4V", "method": "ωB97M-V with the def2-TZVPD basis set", "symbols": ["C", "H", "C", "N", "H", "H", "H", "C", "H", "C", "H", "C", "N", "O", "N", "H", "N", "N", "C", "H", "C", "C", "H", "H", "C", "H", "N", "H", "H", "C", "H", "C", "C", "H", "C", "H", "C", "C", "H", "O", "C", "H", "C", "N", "H", "H", "H", "O", "C", "H", "C", "H", "H", "C", "H", "H", "H", "C", "O", "C", "C", "C", "C", "H", "H", "V", "H", "C", "H", "C", "H", "H", "C", "H", "C", "H", "C", "H", "H"], "positions_angstrom": [[-3.90, -1.10, 1.38], [-2.25, 4.97, 1.74], [-2.93, 0.82, -2.69], [1.09, 2.01, -0.25], [-2.00, 1.76, 6.53], [6.56, 4.42, -1.10], [0.00, 1.38, 7.79], [2.01, 1.69, -1.15], [-0.04, -5.27, 0.36], [-2.26, 4.14, 1.06], [-1.24, -4.68, -1.74], [3.60, 3.20, -0.01], [-0.06, 1.45, -0.22], [0.62, 0.11, -2.25], [-0.85, -3.30, 0.47], [2.99, -2.42, -0.51], [-1.62, -0.62, 0.83], [0.01, -3.44, -3.83], [-3.38, 2.82, -0.64], [-0.25, 3.50, 1.57], [0.18, -3.16, -2.36], [-2.28, 1.97, -0.69], [5.96, 3.08, -3.08], [2.20, -4.62, -0.12], [4.12, 2.35, -2.24], [-0.49, -2.33, -2.08], [-1.41, 0.28, 5.21], [2.92, 3.24, 0.82], [2.34, 0.23, -4.24], [4.80, 3.89, 0.00], [-0.96, -3.70, -4.06], [-3.35, 3.90, 0.24], [-1.15, 2.24, 0.11], [4.42, 1.51, -4.20], [3.25, 2.42, -1.12], [-0.65, -0.33, 4.99], [1.91, -2.55, -0.61], [-2.83, -1.09, 0.50], [1.97, -0.62, 0.04], [-2.13, 0.88, -1.51], [3.75, 1.55, -3.35], [0.96, -1.57, 0.88], [-2.41, 0.59, 4.36], [1.25, -1.34, -0.06], [-4.53, -0.52, 3.36], [-2.83, 1.75, -3.26], [1.66, -3.65, 1.24], [-0.06, 1.08, 6.88], [1.70, 0.82, -2.26], [0.27, -2.63, -4.41], [1.52, -3.82, 0.17], [-2.93, -1.49, -0.50], [-4.20, 4.57, 0.27], [-1.14, 3.32, 0.98], [1.87, -1.85, -2.65], [-1.86, 0.13, 7.26], [-3.98, 0.64, -2.45], [2.59, 0.81, -3.36], [-3.29, 1.38, 4.60], [-1.44, -0.14, 2.07], [0.08, -4.28, -0.09], [5.31, 3.10, -2.21], [1.63, -2.76, -2.11], [-0.46, 0.25, 2.31], [-4.87, -1.46, 1.07], [-0.44, -0.22, -0.82], [5.07, 4.47, 0.87], [-1.39, 0.84, 6.55], [-1.81, -3.63, 0.33], [-2.46, -0.11, 3.02], [-0.74, -3.30, 1.48], [-2.55, 0.00, -3.29], [-0.18, -4.43, -1.60], [0.62, -4.23, -4.09], [-3.72, -0.58, 2.65], [2.29, -3.56, -2.45], [5.64, 3.85, -1.11], [-4.24, 2.68, -1.27], [0.41, -5.27, -1.96]], "lowdin_spin": [0.001, 0.000, 0.003, 0.026, 0.000, -0.001, 0.000, -0.010, 0.000, 0.002, 0.000, -0.005, -0.071, -0.006, 0.001, 0.000, 0.004, 0.000, 0.002, 0.000, 0.001, -0.006, 0.001, 0.000, -0.002, 0.002, 0.000, -0.001, 0.000, 0.013, 0.000, -0.009, 0.002, 0.002, 0.008, 0.000, 0.001, 0.010, 0.002, 0.011, 0.037, 0.002, 0.000, 0.002, 0.000, 0.000, 0.000, 0.000, 0.026, 0.000, 0.000, 0.003, 0.000, -0.007, 0.000, 0.000, 0.000, 0.000, 0.000, 0.003, 0.000, 0.012, 0.000, 0.000, 0.000, 1.944, 0.001, 0.000, 0.000, 0.000, 0.000, 0.001, 0.000, 0.000, 0.003, 0.000, -0.008, 0.000, 0.000], "homo_lumo_gap_ev": [6.284, 6.318], "total_energy_ha": -2792.77691, "charge": 3, "homo_ev": [-15.59, -15.70], "s2": 2.05, "e_above_lowest_ev": 1.839, "multiplicity": 3, "e_lumo_ev": [-9.31, -9.38]}
└──
        Michelle York applied the brakes when she saw the approaching tree, which is what she was taught to do in driver’s ed. when the driver loses control of the vehicle, which was accompanied by the lesson to steer into the skid, which she thought she would remember since she was a good student, who at sixteen was already thinking about which college she would attend, which is how she occupied most of her junior year of high school, when her mom discovered her husband’s affair, which had been going on for a couple of years, which explains his absence when Michelle competed in the chess tournament, where she placed a close third, after which Carl told her that he always thought she was cute, which made Michelle’s cheeks hot, which made her have to readjust her suddenly steamed glasses, which she had started wearing in the third grade, when her father drove her to the optometrist, where the two sat in the waiting room in familiar silence while waiting for the eye glass prescription, which her parents realized was necessary, when she complained about not being able to read the blackboard, which drove her usual grades down to the class average, which she didn’t realize at the time, which she realized later after getting the glasses, which rode along with her high grades, which drove the other students to call her York the Dork, a name which stuck with her into her teen years, which is when she would stand in front of her mirror at night, where she worried were too big for the rest of her face, which then drove her to worry if Carl had noticed her during chess club, where Michelle had beaten him ten games out of ten, which was her record, the news of which caused her mom and dad to applaud her, which she thought sounded artificial, a word which she feared colleges would use to describe her, which is why she steered her thoughts towards writing possible college entrance essays, which she mentally assembled during class, which sometimes crossed the median into her life after school, which ignited her determination to multitask, which is why she thought she was a good student, which is what she thought during a lesson in driver’s ed., which is when she learned to steer into the curve, the truth of which Michelle admitted to her mom, which then drove her mom to say that Michelle needed to live in the present, another lesson which slammed into her thoughts when she lost control of the vehicle, which is when she saw the approaching tree out of the driver’s side window, but she had no way of knowing if it would be enough.

Bennett Durkan is a graduate of Stephen F. Austin, where he earned a master's in English. His poetry has appeared in Psaltery & Lyre, The Red River Review, and FIVE2ONE Magazine. He also won The Piney Dark fiction contest for 2013.